Two nonprofit organizations will divide $3.3 million in federal money to provide “navigators” to help consumers enroll in the Georgia health insurance exchange this fall, the federal government announced Monday.
Navigators provide face-to-face, in-person help for consumers seeking information about the exchanges.
== Molecular data, as found in the file ==
********
{
  "formula": "C5H26NO6S2",
  "method": "ωB97M-V/def2-TZVPD",
  "gap_ev": [3.05, 8.86],
  "charge": 0,
  "lumo_energy_ha": [0.0134, 0.0072],
  "mol_weight_g_mol": 260.40,
  "s2": 0.75,
  "multiplicity": 2,
  "species": ["N", "C", "C", "C", "S", "S", "C", "C", "H", "H", "H", "H", "H", "H", "H", "H", "H", "H", "H", "H", "H", "H", "H", "H", "O", "H", "H", "O", "H", "H", "O", "H", "H", "O", "H", "H", "O", "H", "H", "O"],
********
== Back to the article ==
SEEDCO (Structured Employment Economic Development Corporation) will receive nearly $2.2 million, roughly the same as it received last year as a navigator grantee.
The second grantee will be an alliance led by Macon-based Community Health Works and consisting of cancer coalitions and other organizations. It will get $1.1 million.
Nationally, U.S. Health and Human Services Secretary Sylvia M. Burwell announced $60 million in navigator grant awards to 90 organizations in states with federally facilitated and state partnership exchanges. Also known as marketplaces, the exchanges were created under the Affordable Care Act, sometimes known as Obamacare.
SEEDCO navigators will again cover metro Atlanta and other regions of the state.
“We’re tremendously excited to do this work again,’’ said Ben Thomases of SEEDCO, which will also provide navigators in Tennessee, New York and Maryland.
(The piece is interrupted by quantum chemistry results)
/*
{
  "formula": "C40H65AlN8OPS2Se",
  "method": "the ωB97M-V functional and the def2-TZVPD basis",
  "homo_ev": -9.47,
  "gap_ha": 0.2512,
  "energy_ha": -5858.124320,
  "charge": 1,
  "symbols": ["H", "C", "P", "C", "H", "H", "C", "H", "N", "C", "H", "H", "C", "H", "H", "C", "H", "C", "C", "H", "H", "H", "H", "C", "C", "H", "C", "C", "C", "H", "H", "C", "H", "C", "C", "C", "H", "C", "H", "H", "H", "C", "H", "Se", "H", "H", "H", "H", "H", "H", "H", "H", "H", "H", "H", "C", "H", "H", "C", "N", "C", "H", "C", "C", "H", "C", "Al", "H", "C", "N", "H", "H", "C", "S", "N", "C", "N", "H", "H", "O", "N", "H", "H", "C", "H", "C", "N", "H", "C", "C", "H", "C", "H", "H", "C", "C", "H", "H", "C", "H", "C", "H", "H", "C", "H", "H", "H", "C", "H", "H", "C", "S", "H", "H", "H", "N", "H", "H", "H"],
*/
(The quantum chemistry results stop here)
The Community Health Works coalition will focus its efforts in non-Atlanta areas.
Last year, the second grantee was the University of Georgia’s College of Family and Consumer Sciences and Cooperative Extension Service, which received nearly $1.7 million for navigators.
But UGA was barred from applying this year. A law passed in the Georgia General Assembly early in 2014 prohibits state government units from running navigator programs. Senior Georgia officials — longtime opponents of the ACA — have been critical of using navigators in general.
Fred Ammons, CEO of Community Health Works, told GHN on Monday that his coalition received about a half-million dollars less than UGA received in 2013, though it requested a similar amount.
“There may be a limitation in scope,’’ he said Monday when asked how many navigators the coalition planned to hire. “We have to re-budget.”
-- Next to the text, the page also holds calculated molecules --
/*
(1)
Formula: C6H12S2
Source: the Open Molecules 2025 dataset
Level of theory: ωB97M-V/def2-TZVPD

Structure (XYZ):
```
20
Properties=species:S:1:pos:R:3:forces:R:3
C 2.2542 0.1659 -0.3852 -2.0 0.5 2.4
C -1.5671 0.4273 0.9263 -3.7 0.3 0.2
C -0.6669 -0.0520 -1.3017 -1.1 -4.1 -1.3
C -0.1163 -1.5538 0.6133 -4.1 -1.3 0.7
C 0.7711 0.6220 0.5531 3.8 0.8 -4.1
C -0.4423 -0.1763 0.1800 1.5 1.3 0.2
S 3.4907 -0.5651 0.3041 0.2 -0.3 0.1
S 0.7610 2.3318 -0.0829 -0.8 -0.5 -1.4
H 2.3921 0.6554 -1.3464 -0.6 -0.1 -0.2
H -1.3073 0.8138 1.9421 -0.3 -0.7 -0.7
H -2.4954 -0.3191 0.9429 1.9 1.5 0.3
H -1.9356 1.3214 0.3468 0.3 -0.8 0.7
H 0.1839 -0.4867 -1.9193 -1.1 0.0 0.8
H -0.8587 0.8655 -1.7558 -0.6 1.7 -0.1
H -1.6562 -0.6294 -1.4781 1.7 0.5 -0.2
H -0.2648 -1.7271 1.6683 0.1 0.5 0.6
H -0.8285 -2.2859 0.1929 0.3 0.2 -0.3
H 0.8222 -1.8339 0.4017 3.4 -1.1 -1.0
H 1.0964 0.6429 1.5572 0.2 -0.3 1.1
H 0.3674 1.7835 -1.3591 0.9 1.6 1.9
```
Forces are in eV/Å.

For the LUMO energy, the calculation gives -0.00449 Eh. The SMILES is CC(C)(C)[C@H](S)C=S. Its total charge is 0. The frontier orbital gap comes out at 8.21 eV. The HOMO energy is -8.3285 eV. Its largest force on an atom is 5.6 eV/A.

Partial charges, Löwdin, in e: atom 1 (C): -0.71, atom 2 (C): -0.09, atom 3 (C): -0.10, atom 4 (C): -0.05, atom 5 (C): -0.58, atom 6 (C): -0.74, atom 7 (S): 0.67, atom 8 (S): 0.76, atom 9 (H): 0.01, atom 10 (H): 0.10, atom 11 (H): 0.13, atom 12 (H): 0.08, atom 13 (H): 0.12, atom 14 (H): 0.02, atom 15 (H): 0.13, atom 16 (H): 0.10, atom 17 (H): 0.11, atom 18 (H): 0.02, atom 19 (H): 0.08, atom 20 (H): -0.06



(2)
Formula: C4H24N2O6S
Source: the Open Molecules 2025 dataset
Level of theory: ωB97M-V/def2-TZVPD

Structure (XYZ):
```
37
Properties=species:S:1:pos:R:3:forces:R:3
C 2.3097 -1.0095 -0.1139 0.8 1.2 -0.8
C 1.0575 -1.6686 0.3896 -2.1 1.0 -0.5
C 0.3361 -2.6425 -0.5774 0.2 0.8 1.4
S 1.3937 -4.0452 -0.9406 -1.6 -1.4 0.6
N 0.0082 -0.6504 0.6999 0.3 0.4 0.4
C 0.1399 -0.0671 2.0612 -1.3 -0.4 -0.8
N -0.6565 1.1289 2.2790 -0.2 -0.2 -0.4
H 2.6795 -0.2868 0.6231 0.4 -0.6 0.3
H 3.0973 -1.6281 -0.5397 0.2 -0.5 0.8
H 2.1833 -0.2932 -0.9331 -1.0 -0.4 -0.1
H 1.1837 -2.1614 1.3529 0.5 -0.4 -0.1
H -0.5392 -2.9408 0.0069 0.3 -0.6 -0.1
H -0.1496 -2.0941 -1.3852 0.6 -0.1 -0.5
H 2.2913 -3.4445 -1.6251 1.2 1.0 -1.0
H -0.0721 0.0698 -0.0097 0.6 0.0 0.1
H -0.3318 -0.8657 2.6413 0.7 0.3 0.8
H 1.1442 0.1724 2.3767 0.3 -0.3 0.0
H -0.3584 1.8936 1.6845 0.2 0.0 0.0
H -1.6042 0.9298 1.9785 -0.2 0.2 0.2
H -0.7351 4.3959 -2.2192 -0.2 0.1 -0.1
H 0.0682 4.4249 -0.9259 0.4 0.6 0.3
O -0.5433 3.8966 -1.4237 -0.1 -0.3 -0.1
H -2.3423 -0.5201 0.5504 0.4 -0.6 -0.4
H -3.5872 -1.3508 0.6688 -0.4 -0.2 -0.1
O -2.8445 -1.2112 0.0767 -0.1 0.6 0.7
H -2.7481 -0.5763 -1.5635 0.4 -0.4 -0.2
H -1.7260 -0.7890 -2.7725 0.0 -0.5 0.2
O -2.3740 -0.2062 -2.3841 -0.3 0.8 -0.2
H 2.6218 0.5242 3.8085 -0.2 0.0 0.4
H 3.4044 -0.1891 2.7896 0.5 -0.3 -0.6
O 2.9758 -0.3501 3.6233 -0.1 0.2 0.4
H 0.3394 1.4434 -2.1452 0.0 0.2 0.4
*/
-- The calculated molecules stop here --
The upcoming open enrollment period begins Nov. 15.
More than 316,000 Georgians signed up for coverage in the exchange last year, which was run, as in many states, by the federal government. The enrollments came despite major technical problems last fall, which have since been ironed out.
Ammons said Community Health Works’ cancer coalition in Macon will join with those in Rome, Athens, Columbus, Albany and Savannah to deliver navigator services around the state.
“We have grass-roots connections in the communities,” he said.
Ammons added that he does not expect the same political winds that swirled around the UGA unit’s navigator work.
“We’re in a very different position, being a private nonprofit,” he said. “Much of the concern last year was the state [entity] doing this work.’’
Dante McKay, state director for Get Covered America, said Monday in a statement, “In-person assistance is critical to successful enrollment, especially for hard-to-reach populations like Latinos and African-Americans. The $3.3M investment the Georgia organizations will receive . . . is evidence of a strong commitment toward ensuring that more Georgians are able to successfully enroll in health insurance coverage.”
Ammons said that his Insure GA coalition will work hard to build public trust.
“I think there is confusion as to where to go for help,’’ he added.
“Whatever your politics are on the ACA, this is the tool we have at our disposal now to help the uninsured and underinsured. We can help a lot of Georgians who do not have access to basic health care.’”